Consider the options before taking action on company stock

Bill Cass, CFP®, CPWA®

Bill Cass, CFP®, CPWA®, 04/03/24

As a result of high-profile cases and legislative changes, owning company stock in a workplace retirement plan is not as common as it was two decades ago. Today, less than 5% of total 401(k) assets are held in company stock, according to the Investment Company Institute.

For participants holding company stock in their plan and considering a distribution, there are strategies that may potentially help them save on taxes.

[What comes next are materials data, not part of the piece]
/*
Diffraction record for RbPuCoO6. The powder diffractogram is theoretical, not measured: it uses the PBE+U geometry in Alexandria and copper Kα.
Neutral-atom scattering factors, no anomalous dispersion.

Structural model:
```
data_RbPuCoO6
_space_group_name_H-M_alt 'C 1 2 1'
_space_group_IT_number 5
_cell_length_a 5.2019
_cell_length_b 8.8842
_cell_length_c 6.4956
_cell_angle_alpha 90.00
_cell_angle_beta 90.41
_cell_angle_gamma 90.00
loop_
_space_group_symop_operation_xyz
'x,y,z'
'-x,y,-z'
'x+1/2,y+1/2,z'
'-x+1/2,y+1/2,-z'
loop_
_atom_site_label
_atom_site_type_symbol
_atom_site_fract_x
_atom_site_fract_y
_atom_site_fract_z
Rb1 Rb 0.0000 0.0000 0.0000
Pu1 Pu 0.0000 0.3344 0.5000
Co1 Co 0.0000 0.6723 0.5000
O1 O 0.1251 0.5073 0.6670
O2 O 0.1682 0.8083 0.6680
O3 O 0.1943 0.1822 0.6640
```

Peak list (6 most intense, 5 to 70 degrees two-theta, in order of rising 2θ)
| h k l | d/Å | 2theta | intensity |
| --- | --- | --- | --- |
| 0 0 1 | 6.495 | 13.6 | 100 |
| 1 1 -1 | 3.704 | 24.0 | 61 |
| 1 1 1 | 3.682 | 24.2 | 60 |
| 0 2 1 | 3.667 | 24.3 | 62 |
| 1 3 0 | 2.574 | 34.9 | 34 |
| 1 3 2 | 2.014 | 45.0 | 32 |

=====

# 1
Dy6Cd5In: simulated XRD peak list (copper Kα), based on a DFT-relaxed cell (GGA-PBE, Alexandria).

Principal peaks in the range 2θ = 10–80°, low angle first:
| 2theta | intensity |
| --- | --- |
| 23.72 | 2.5 |
| 33.82 | 100.0 |
| 33.92 | 19.8 |
| 48.47 | 7.2 |
| 48.61 | 7.1 |
| 48.72 | 7.1 |
| 60.46 | 22.0 |
| 60.57 | 14.6 |
| 60.66 | 7.3 |
| 71.12 | 9.0 |
| 71.19 | 2.2 |
| 71.38 | 2.2 |

Cell and atoms:
```
data_Dy6Cd5In
_cell_length_a 5.2860
_cell_length_b 7.5127
_cell_length_c 8.3704
_cell_angle_alpha 90.00
_cell_angle_beta 108.29
_cell_angle_gamma 90.00
_symmetry_space_group_name_H-M 'P 1'
_symmetry_Int_Tables_number 1
loop_
_symmetry_equiv_pos_as_xyz
'x,y,z'
loop_
_atom_site_label
_atom_site_fract_x
_atom_site_fract_y
_atom_site_fract_z
Dy1 0.0000 0.2492 0.0000
Dy2 0.0000 0.7508 0.0000
Dy3 0.3330 0.2489 0.6661
Dy4 0.3330 0.7511 0.6661
Dy5 0.6670 0.2489 0.3339
Dy6 0.6670 0.7511 0.3339
Cd1 0.1667 0.0000 0.3326
Cd2 0.1690 0.5000 0.3379
Cd3 0.5000 0.0000 0.0000
Cd4 0.8310 0.5000 0.6621
Cd5 0.8333 0.0000 0.6674
In1 0.5000 0.5000 0.0000
```

---

# 2
Mg3H4Ir3: simulated XRD peak list (copper Kα), based on a DFT-relaxed cell (GGA-PBE, Alexandria).

Principal peaks in the range 2θ = 10–80°, low angle first:
| 2theta | intensity |
| --- | --- |
| 19.32 | 55.8 |
| 21.67 | 100.0 |
| 23.05 | 26.3 |
| 31.29 | 15.2 |
| 34.32 | 19.4 |
| 37.04 | 87.9 |
| 38.39 | 45.8 |
| 39.22 | 84.9 |
| 44.16 | 20.9 |
| 47.08 | 34.7 |
| 52.46 | 18.4 |
| 69.62 | 19.7 |

Cell and atoms:
```
data_Mg3H4Ir3
_cell_length_a 5.2620
_cell_length_b 5.2620
_cell_length_c 5.2716
_cell_angle_alpha 114.27
_cell_angle_beta 114.27
_cell_angle_gamma 65.85
_symmetry_space_group_name_H-M 'P 1'
_symmetry_Int_Tables_number 1
loop_
_symmetry_equiv_pos_as_xyz
'x,y,z'
loop_
_atom_site_label
_atom_site_fract_x
_atom_site_fract_y
_atom_site_fract_z
Mg1 0.0000 0.0000 0.0000
*/

Understanding the options is important before taking action.

Elevated risk drew headlines

Several high-profile events brought more attention to the potential risks of owning company stock in an employer retirement plan.

For example, in 2002 when Enron declared bankruptcy, 62% of the assets in their defined contribution plan were held in Enron stock.1

The passage of the Pension Protection Act (PPA) in 2006 provided participants with more flexibility to diversify out of company stock in their retirement plan. For example, if a company provides an employer match in company stock, participants with at least three years of service can transfer those balances to another option offered in the plan. Prior to the legislation, employer plans could limit transfers of employer contributions out of company stock.

While the percentage of company stock held in retirement plans has declined sharply over time, participants still own stock within their plans.

For plans that offer company stock as an investment option, roughly 10% of participants hold a balance of more than 20% in company stock.2

Understanding the NUA option

Federal tax laws include a rule known as the NUA rule (net unrealized appreciation), which applies to the distribution of company stock from an employer retirement plan. Under this provision in the tax code, only the cost basis of the shares is subject to tax (and potentially an early withdrawal penalty) at the time of the distribution. In simple terms, the cost basis is what a person pays for the stock. The difference between the cost basis and the stock’s current price is called the net unrealized appreciation, or NUA.3

The NUA is not subject to tax until the company stock is sold and will never be subject to an early withdrawal penalty. When the stock is sold, the NUA is taxed at long-term capital gains tax rates — not ordinary income tax rates, which can be much higher. Additionally, the NUA is not subject to the 3.8% Medicare surtax on net investment income. The favorable tax treatment for the NUA portion of company stock distributions is what is known as the NUA rule.

Key requirements for applying NUA treatment on company stock

  • The distribution from the plan must be a lump-sum distribution (meaning the entire account balance, including other holdings, must be withdrawn from the plan in the same calendar year)
  • The company stock is transferred in-kind to a brokerage account (i.e. not sold and distributed in cash)
  • If the company stock is rolled into an IRA, the option to apply the NUA rule is forfeited

How the NUA rule works

In this example, consider a plan participant who purchased $50,000 in company stock that appreciated to $300,000 over time. Suppose the individual retired at age 60. The total market value of the company stock is $300,000 and the cost basis is $50,000 – the amount contributed towards purchasing company stock in the plan. The difference between the total value and the cost basis is referred to as the net unrealized appreciation (NUA). In this case, the NUA is $250,000.

Scenario one: Roll the stock into an IRA

If you liquidated the stock and eventually distributed it from the plan (or rolled the company stock into an IRA and then distributed it), the entire $300,000 would be taxed at your ordinary income tax rate. At the highest marginal tax rate of 37%, the federal income tax bill on the company stock would be $111,000.

Scenario two: Take a lump-sum distribution and apply NUA treatment on the company stock portion

If you take a lump-sum distribution from the plan and transfer the company stock portion in-kind by transferring it to a brokerage account, the NUA rule would apply. First, the cost basis would be reported as ordinary income upon distribution from the plan. Assuming a $50,000 cost basis in our example and a marginal tax rate of 37%, the tax owed on the distribution of the cost basis portion would be $18,500.

The potential tax benefit applies to the difference between the total value of the stock and the cost basis, the NUA. Once the stock is sold, the NUA portion ($250,000 in our example) would be taxed at long-term capital gains tax rates, a maximum of 20%. This would result in a tax bill of $50,000 on that amount ($250,000 x 20%). Adding the ordinary income tax paid on the cost basis portion the total tax bill would be $68,500 ($18,500 + $50,000).

In this example the taxpayer would save roughly $40,000 by not rolling the company stock into an IRA, instead distributing it in-kind to a brokerage account. However, there are important factors to consider when deciding how to distribute company stock from a retirement plan.

example of tax savings using NUA rule

Example based on highest marginal tax rates of 37% for ordinary income and 20% for long-term capital gains. Note that the 3.8% Medicare surtax on net investment income does not apply to retirement plan distributions, including NUA.

When does NUA make sense?

Using the NUA rule strategy may make sense if the company stock has realized significant market appreciation, if you are in a high tax bracket, are considering an immediate distribution from your account, or are leaving stock to heirs. In general, the lower the cost basis on the stock and the higher the marginal tax rate, the better the case for using the NUA rule.

When may a Rollover IRA be a viable choice

You may want to consider a Rollover IRA if you want to defer taxes as long as possible or if you wish to diversify your holdings out of company stock. A participant thinking about using the NUA rule has to plan for reporting the cost basis portion of the company stock as ordinary income on their return in the year it is distributed. Many participants may want to avoid paying taxes until later in their retirement years when required distributions begin.

Consult an advisor

It’s always important to consult with a financial professional to determine what may be best for your individual needs. Get advice before taking action to avoid the burden of additional taxes.

1Congressional Research Service, data as of 2002.

2Vanguard, How American Saves, 2023.

3Internal Revenue Code 402(e)(4).